Your random annoyance of the day

# 1
Computed, not measured: a geometry-optimized CuSbPb2 structure at the GGA-PBE level of DFT.

Unit cell a=4.6005 b=4.6005 c=10.0152 alpha=90.00 beta=90.00 gamma=90.00
Space group I-4m2 (No. 119)
Asymmetric unit:
Cu  0.0000  0.0000  0.0000 x2
Sb  0.0000  0.5000  0.2500 x2
Pb  0.0000  0.0000  0.5000 x2
Pb  0.0000  0.5000  0.7500 x2

* calculated total energy: -3.629 eV per atom

***

# 2
Computed, not measured: a geometry-optimized CuSb2Pb structure at the GGA-PBE level of DFT.

Unit cell a=6.2484 b=6.2484 c=13.0483 alpha=90.00 beta=90.00 gamma=90.00
Space group I-42d (No. 122)
Asymmetric unit:
Cu  0.0000  0.0000  0.0000 x4
Sb  0.1887  0.2500  0.1250 x8
Pb  0.0000  0.0000  0.5000 x4

* calculated total energy: -3.863 eV per atom

***

The records above yield N(E_F) values of 0.53, 0.54 states/eV/atom, respectively.

* * * * *

Material: SrLi2In
Method: DFT, PBE-GGA
State: optimized geometry

Properties
DFT formation energy = -130.7 meV/atom
Crystal system = monoclinic

The structure in CIF format:
```
data_SrLi2In
_chemical_formula_sum 'Sr1 Li2 In1'
_symmetry_space_group_name_H-M 'P 1 2/m 1'
_symmetry_Int_Tables_number 10
_cell_length_a 3.642
_cell_length_b 5.134
_cell_length_c 6.102
_cell_angle_alpha 90.00
_cell_angle_beta 95.70
_cell_angle_gamma 90.00
loop_
_symmetry_equiv_pos_as_xyz
'x,y,z'
'-x,-y,-z'
'-x,y,-z'
'x,-y,z'
loop_
_atom_site_label
_atom_site_fract_x
_atom_site_fract_y
_atom_site_fract_z
Sr1 0.000 0.000 0.000
Li1 0.299 0.500 0.684
In1 0.500 0.000 0.500
```

It seems you'll start smoking again :loco:

Just kidding, good luck dude.

These crystal structures were left in the text by mistake >
'''
Record 1
DFT (PBE) results for a geometry-optimized PuThInGa structure.

a b c (Å): 5.2985 5.2985 5.2985
angles (deg): 60.00 60.00 60.00
Closest atoms and distances in Å follow each position.
Positions (direct):
Pu  0.0000  0.0000  0.0000  4 In 3.24, 4 Ga 3.24
Th  0.5000  0.5000  0.5000  4 In 3.24, 4 Ga 3.24
In  0.2500  0.2500  0.2500  4 Th 3.24, 4 Pu 3.24
Ga  0.7500  0.7500  0.7500  4 Th 3.24, 4 Pu 3.24

## Properties
Space group   F-43m (216)
ΔE_f   -195 meV/atom
Size of the total moment   5.79 μB/cell
E_tot   -7.0747 eV/atom


Record 2
DFT (PBE) results for a geometry-optimized PuZnInGa structure.

a b c (Å): 4.9320 4.9320 4.9320
angles (deg): 60.00 60.00 60.00
Closest atoms and distances in Å follow each position.
Positions (direct):
Pu  0.0000  0.0000  0.0000  4 Zn 3.02, 4 Ga 3.02
Zn  0.7500  0.7500  0.7500  4 In 3.02, 4 Pu 3.02
In  0.5000  0.5000  0.5000  4 Zn 3.02, 4 Ga 3.02
Ga  0.2500  0.2500  0.2500  4 In 3.02, 4 Pu 3.02

## Properties
Space group   F-43m (216)
ΔE_f   -167 meV/atom
Size of the total moment   5.81 μB/cell
E_tot   -5.5095 eV/atom


Record 3
DFT (PBE) results for a geometry-optimized Rb2In7Ga structure.

a b c (Å): 5.0097 5.0097 12.5959
angles (deg): 90.00 90.00 90.00
Closest atoms and distances in Å follow each position.
Positions (direct):
Rb  0.0000  0.5000  0.2447  14 In 3.84-4.08, 2 Ga 3.97
Rb  0.5000  0.0000  0.7553  14 In 3.84-4.08, 2 Ga 3.97
In  0.0000  0.0000  0.0000  4 In 2.98
In  0.0000  0.0000  0.5000  4 In 3.05
In  0.0000  0.5000  0.6385  5 In 2.95-3.05
In  0.0000  0.5000  0.8724  3 In 2.95-2.98, 2 Ga 2.98
In  0.5000  0.0000  0.1276  3 In 2.95-2.98, 2 Ga 2.98
In  0.5000  0.0000  0.3615  5 In 2.95-3.05
In  0.5000  0.5000  0.5000  4 In 3.05
Ga  0.5000  0.5000  0.0000  4 In 2.98

## Properties
Space group   P-4m2 (115)
ΔE_f   -107 meV/atom
Size of the total moment   0.00 μB/cell
E_tot   -2.5199 eV/atom


Q: ΔE_f of number 3 (Rb2In7Ga)?
A: -107 meV/atom


Q: Among the records above, which one has the highest ΔE_f?
A: Rb2In7Ga


Please write out number 2 again, unchanged.
DFT (PBE) results for a geometry-optimized PuZnInGa structure.

a b c (Å): 4.9320 4.9320 4.9320
angles (deg): 60.00 60.00 60.00
Closest atoms and distances in Å follow each position.
Positions (direct):
Pu  0.0000  0.0000  0.0000  4 Zn 3.02, 4 Ga 3.02
Zn  0.7500  0.7500  0.7500  4 In 3.02, 4 Pu 3.02
In  0.5000  0.5000  0.5000  4 Zn 3.02, 4 Ga 3.02
Ga  0.2500  0.2500  0.2500  4 In 3.02, 4 Pu 3.02

## Properties
Space group   F-43m (216)
ΔE_f   -167 meV/atom
Size of the total moment   5.81 μB/cell
E_tot   -5.5095 eV/atom


Q: size of the total moment of number 1 (PuThInGa)?
A: 5.79 μB/cell


8
Lattice="-4.9255 0.1667 -0.5430 0.4426 -1.8440 -4.5811 -2.6031 -5.5114 -0.7161" Properties=species:S:1:pos:R:3 comment="MnGeO2 PBE with a Hubbard U optimized geometry" energy_ev_per_atom=-6.58 pbc="T T T"
Ge -4.8850 -3.0917 -1.9106
Ge 0.0000 0.0000 0.0000
O -5.8836 -5.5646 -4.9299
O -3.6246 -4.7991 -2.5494
O -3.5762 -1.5075 -1.0803
O -1.0874 -2.5062 -3.1208
'''
End of the crystal structures >

About to head out and buy a 25g now, there's other times to quit, for now I need to stp myself from going insane hahahaha

edit: thanks for that by the way dude, been going insane and bawling my eyes out like a little girl for the last hour, that cheered me up massively :)
And if the girl has already got into "mom mode", hammer her with objective and sensible explanations of why it is a bad idea to keep this kid and don't give up. They can go crazy when they get to this point, I had the case once (hopefully it was a fake, she thought she was but she wasn't, I always use condoms and am careful as much as possible) and she was annoyingly crazy. Tell her you'll be with her for the abortion as much as possible, don't make her feel like she's alone in this, because an abortion is most of the time a bit - if not a lot - traumatizing and it would mean the world to her if she was helped in the process.
Hahahahahaha, I've already been through the whole rational talk thing and it's all being put in place for an abortion and stuff, it's just the worrying fact that she might turn around at the last minute and be all like "actually I do want this kid and there's not a damn thing you can do to stop me" 'cause it's not as if i can force a termination pill or whatever down her throat, either way, thanks guys :)
Hahahahahaha, I've already been through the whole rational talk thing and it's all being put in place for an abortion and stuff, it's just the worrying fact that she might turn around at the last minute and be all like "actually I do want this kid and there's not a damn thing you can do to stop me" 'cause it's not as if i can force a termination pill or whatever down her throat, either way, thanks guys :)

Coathanger. Rag her hole with it.. job done.
Good luck, dude! No matter how this pans out, in a couple of years from now on you'll think that it was fine the way it went :)
I actually knew a girl whose "bf" punched in the stomach for that reason, and it worked :/

Good to see you're taking it the right way ! Yeah, just check her hormones which have already changed a lot the minute she discovered she was pregnant are not dictating her her feelings towards that. Hopefully she will stay sensible and hopefully she'll take it easy on her side as well.

If ever a baby is born, love him still ! I have a friend who has a baby because her gf hid the fact she was pregnant (not officially but that's my friends and I's theory after calculating the dates and what she said...) until it was too late. Still, he loves him so much now, it took him say a year to actually endorse the role of a father. Just saying, if it happens, the baby didn't have a choice and deserves to be loved just as much as another one ! tl;dr : read post above

Anyway, hope it ends up quickly and well !
Well yeah iif she keeps it, it's not like i'm gonna throw it out a window and stuff, at the end of the day it'd be my kid hahahaha

Just told parents, and my mum looked like she was about to burst in to tears which was pretty shitty...... meanwhile my dad was like "yeah I knew you were gonna say that all day, I know the look that was on your face all too well from when I had to tell my mum your mum was up the duff" bahahaha (They had me when my mum was 17/dad was 15)

End of the day, it's all in the open now and there's shit all that I can really do about it, i'm more just crushed at the fact that everything i've worked for since I was nine years old (getting into a music uni, making something of myself in a city with an actual scene etc etc) could all be about to go down the pan. Shit happens I guess though